IV Technology Fair

Imagen de la fira tecnológica

350 high school, baccalaureate and vocational training students share their end-of-year technology projects at ETSIADI

The image resembled that of an anthill, with around 350 restless young people, eager to share their technological projects and meet those of other colleagues. We are talking about the IV Technology Fair, held on April 25 and organized by the School of Aerospace Engineering and Industrial Design (Escuela Técnica Superior de Ingeniería Aeroespacial y Diseño Industrial ( ETSIADI), together with  CEFIRE CTEM(Specific of Scientific, Technological and Mathematical Field), with the collaboration of the Universitat Politècnica de València (UPV) and the Asociación del Profesorado de Tecnología de la Comunitat Valenciana (APTCV).

The figure of 70 participating teams this year, representing 32 schools and institutes of the Valencian Community, reflected the quantitative leap that the event has experienced, since in the previous edition 50 teams registered. “It is a source of pride for our School to see how this fair grows year after year,” commented Alicia Herrero, assistant director of Spontaneous Generation and Entrepreneurship at ETSIADI.

Super motivating” challenge

The mission of the Technology Fair is to motivate students, as well as to make visible and highlight the work being done in high schools and educational centers in everything related to technological subjects, “which is sometimes difficult for students to associate with something concrete,” Herrero stressed. “And if we manage to awaken a vocation, so much the better,” he added. In this regard, Juan Manuel Ríos, a teacher at the San José de València school, is clear: “for us as a center and for the students in particular it is extremely motivating, since they focus their work not only on a specific subject but on a competition in which the level is very high”.

A different and enriching initiative

For Gonzalo Jover, a teacher at IES El Grao de València, the Technology Fair is a “different and very enriching” initiative. And he adds: “the students work more motivated in the project itself, in some cases they are more motivated for the future and, as if that were not enough, they aspire to get prizes or a scholarship to study at the UPV”. One of the students from this center and participant in the Fair, Jonathan Abril, confirms: “I love everything related to technology, so I really enjoyed developing my project. I hope I can follow this path and study at the UPV”.

Ticket to the second phase of the Industrial Olympiad

In total, sixteen works obtained some recognition in this edition of the Technology Fair. Many of them also qualified for the second phase of the  Industrial Olympiadorganized by the Escuela Técnica Superior de Ingeniería Industrial ( ETSII), which will take place on May 9. From there, the groups representing the Comunitat Valenciana will be selected for the national competition, on July 17 and 18 in Girona.

This is the list of the awarded projects in the Fira Tecnològica 2024:

– In 1r/2n ESO:

o Encreuament de carrers amb semàfors (IES Les Foies, Benigànim)

– In 3rd and 4th ESO:

o Mà robòtica (IES Clara Campoamor)
o Argomatic Rehabilitator (Col-legi Argos)
o El bolquer de Quico (IES Gregori Maians, Oliva)
o Touch-sensitive electronic drums (IES Gregori Maians, Oliva)
o Braç hidràulic (IES Francesc Ferrer i Guàrdia)

(Next to the entry, the page also holds molecular data)
/*
Record 1
Here is C24H36N2SiSr as an isolated structure in a non-equilibrium geometry from the OMol25 dataset. Energies are from ωB97M-V with the def2-TZVPD basis set.

Last column: Mulliken charge in e.
CARTESIAN COORDINATES (ANGSTROEM)
C 0.9936 2.4964 0.3351  -1.18
C -0.0301 2.5635 -0.6511  -0.25
C -1.2886 2.4230 0.0064  -0.80
H 0.1038 2.6935 -1.7202  0.59
C -1.0469 2.2836 1.4019  -0.72
C 0.3674 2.3309 1.6126  -0.10
H 0.8694 2.2378 2.5690  0.49
H 2.0591 2.5317 0.1488  0.37
H -2.2576 2.4044 -0.4759  0.43
H -1.8100 2.1586 2.1593  0.49
Sr -0.1204 -0.3108 0.1743  1.37
C -1.4468 -2.5549 -4.1742  -1.10
H -2.4494 -2.7852 -3.7231  0.30
H -0.8546 -3.4931 -4.3727  0.21
H -1.3719 -1.8891 -5.0928  0.31
Si -0.4743 -1.3920 -3.1879  0.24
C 1.3566 -0.9631 -3.3020  0.45
C 1.8878 0.2865 -2.9844  0.49
H 1.2236 1.1328 -2.7746  0.21
C 3.2837 0.4947 -2.9544  -0.75
H 3.6946 1.4685 -2.7085  0.45
C 4.1551 -0.5898 -3.2457  -0.45
H 5.2311 -0.4560 -3.2296  0.38
C 3.6103 -1.8594 -3.5351  -0.60
H 4.2710 -2.7129 -3.7379  0.36
C 2.2312 -2.0376 -3.5480  -0.72
H 1.7876 -3.0223 -3.7236  0.23
C -1.4138 0.3343 -3.4924  0.53
C -1.0151 1.2466 -4.5038  -0.22
H -0.1321 1.0276 -5.0721  0.42
C -1.7307 2.4434 -4.7358  -0.60
H -1.3161 3.1872 -5.4507  0.31
C -2.8684 2.7223 -3.9738  -0.27
H -3.3888 3.7007 -4.0679  0.31
C -3.3252 1.8077 -2.9884  -0.70
H -4.1770 2.0565 -2.3260  0.41
C -2.5845 0.6212 -2.7970  -0.48
H -2.9201 -0.0862 -2.0305  0.34
H -0.8524 -1.3380 -1.7225  -0.56
H -0.1036 -2.6792 -2.3224  -0.30
C 1.4927 -0.8244 2.7029  -0.79
N 0.2401 -1.5106 2.3167  0.35
C 0.4203 -2.9688 2.1947  -1.24
C -0.9888 -1.1308 3.0782  -0.20
C -0.7418 -1.0959 4.5955  -1.15
N -0.0350 0.1403 4.9669  0.47
C -0.8957 1.3129 5.0768  -1.07
C 0.7830 -0.0209 6.1538  -1.14
H 2.1033 -1.4222 3.4016  0.26
H 2.1065 -0.6372 1.7973  0.33
H 1.2773 0.1282 3.1994  0.15
H 0.7336 -3.4445 3.1422  0.31
H -0.5269 -3.4307 1.8752  0.33
H 1.1968 -3.1707 1.4401  0.35
H -1.3815 -0.1485 2.7187  -0.04
H -1.7693 -1.8723 2.8418  0.46
H -1.6995 -1.1455 5.1344  0.41
H -0.1452 -1.9696 4.8876  0.40
H -1.6099 1.2282 5.9166  0.36
H -0.2644 2.1946 5.2531  0.35
H -1.4648 1.4778 4.1551  0.18
H 1.4876 -0.8445 5.9904  0.33
H 0.1860 -0.2332 7.0599  0.35
H 1.3477 0.9044 6.3187  0.33

The HOMO-LUMO gap is 5.8920 eV. For the HOMO energy, the calculation gives -6.10 eV. For the largest force on an atom, the calculation gives 0.060 Eh/bohr. For the total energy, the calculation gives -37161.99735 eV.

Record 2
Here is a 2-piece molecular cluster, C11H18 overall in a non-equilibrium geometry from the OMol25 dataset. Energies are from ωB97M-V with the def2-TZVPD basis set.

Last column: Mulliken charge in e.
CARTESIAN COORDINATES (ANGSTROEM)
C 1.8574 -2.7022 -1.1648  -1.59
C 0.7804 -2.1858 -0.2458  0.93
C 1.0059 -2.0432 1.1268  -0.48
C 0.0191 -1.6108 1.9997  -0.73
C -1.2671 -1.4725 1.5204  -0.37
C -1.5361 -1.7336 0.1845  -0.54
C -0.5153 -2.0322 -0.7195  -0.33
H 1.7123 -3.7700 -1.3119  0.33
H 2.8409 -2.5224 -0.8234  0.42
H 1.6871 -2.2520 -2.1446  0.35
*/

– Batxillerat:

o Taula Arcade (IES La Patacona, Alboraia)
o Braille Translator (IES La Melva, Elda)
o Casa domòtica (IES La Patacona, Alboraia)
o Robot interactiu (IES La Melva, Elda)
o Menjador de mascotes (IES Massamagrell)

– Cicles Formatius de Grau Superior:

o Hydraulic equipment bank for the digitization of water (IES Beatriu Fajardo de Mendoza)
o Airpproach (IES La Vall d’Alba)
o Smoke detector in aeronau through laser emmallat (IES La Vall d’Alba)
o La vuitena vida del gat (IES La Vall d’Alba)
o Smart Packing (Escoles San José – Jesuïtes)